# Contents
- - -
This record from Materials Project describes a relaxed LiSn5Rh3 crystal. The functional is GGA-PBE.

## Properties
- Energy relative to the elements: -4.3 eV per formula unit
- Space group: No. 57

abc: 5.469 9.911 12.964
angles: 90.00 90.00 90.00
Element x y z (fractional)
Li (0.098, 0.109, 0.250)
Li (0.098, 0.391, 0.750)
Li (0.902, 0.609, 0.250)
Li (0.902, 0.891, 0.750)
Sn (0.126, 0.674, 0.613)
Sn (0.126, 0.674, 0.887)
Sn (0.126, 0.826, 0.113)
Sn (0.126, 0.826, 0.387)
Sn (0.343, 0.076, 0.750)
Sn (0.343, 0.424, 0.250)
Sn (0.366, 0.127, 0.063)
Sn (0.366, 0.127, 0.437)
Sn (0.366, 0.373, 0.563)
Sn (0.366, 0.373, 0.937)
Sn (0.634, 0.627, 0.063)
Sn (0.634, 0.627, 0.437)
Sn (0.634, 0.873, 0.563)
Sn (0.634, 0.873, 0.937)
Sn (0.657, 0.576, 0.750)
Sn (0.657, 0.924, 0.250)
Sn (0.874, 0.174, 0.613)
Sn (0.874, 0.174, 0.887)
Sn (0.874, 0.326, 0.113)
Sn (0.874, 0.326, 0.387)
Rh (0.147, 0.552, 0.078)
Rh (0.147, 0.552, 0.422)
Rh (0.147, 0.948, 0.578)
Rh (0.147, 0.948, 0.922)
Rh (0.405, 0.695, 0.250)
Rh (0.405, 0.805, 0.750)
Rh (0.595, 0.195, 0.250)
Rh (0.595, 0.305, 0.750)
Rh (0.853, 0.052, 0.078)
Rh (0.853, 0.052, 0.422)
Rh (0.853, 0.448, 0.578)
Rh (0.853, 0.448, 0.922)

This record from Materials Project describes a relaxed LuAl2 crystal. The functional is GGA-PBE.

## Properties
- Energy relative to the elements: -1.4 eV per formula unit
- Space group: No. 227

abc: 5.489 5.489 5.489
angles: 60.00 60.00 60.00
Element x y z (fractional)
Lu (0.125, 0.125, 0.125)
Lu (0.875, 0.875, 0.875)
Al (0.000, 0.500, 0.500)
Al (0.500, 0.000, 0.500)
Al (0.500, 0.500, 0.000)
Al (0.500, 0.500, 0.500)

This record from Materials Project describes a relaxed Nb6CdS8 crystal. The functional is GGA-PBE.

## Properties
- Energy relative to the elements: -19.0 eV per formula unit
- Space group: No. 147
- Spin magnetization: 0.00 μB per formula unit

abc: 9.711 9.711 3.380
angles: 90.00 90.00 120.00
Element x y z (fractional)
Nb (0.114, 0.627, 0.250)
Nb (0.373, 0.486, 0.250)
Nb (0.486, 0.114, 0.750)
Nb (0.514, 0.886, 0.250)
Nb (0.627, 0.514, 0.750)
Nb (0.886, 0.373, 0.750)
Cd (0.000, 0.000, 0.500)
S (0.057, 0.344, 0.250)
S (0.287, 0.943, 0.250)
S (0.333, 0.667, 0.750)
S (0.344, 0.287, 0.750)
S (0.656, 0.713, 0.250)
S (0.667, 0.333, 0.250)
S (0.713, 0.057, 0.750)
S (0.943, 0.656, 0.750)
- - -

# Wanted
What is needed: work out how many lines further up have the word "Energy" in them; a number is enough.

# Completed
3